Opening of the second stage of the land market for legal entities in Ukraine: Thoughts and risks
Operations for the lease or sale of agricultural land are ongoing processes that allow for agricultural activity. Small farmers (up to 200 hectares), large agricultural holdings (hundreds of thousands of hectares), and everyone in between form a land bank based on leased or private land plots. From 2021, the moratorium on the sale of agricultural land for individuals was lifted, and from the beginning of 2024, the second stage of opening the land market began, with Ukrainian legal entities also able to buy it. We will take a closer look at the main results, opinions and risks that may arise from the opening of the second stage of the land market.
Land market in Ukraine
During independence, Ukraine went through a difficult path of economic reforms from a command-administrative system with state ownership of land and property to market relations. An important component of these reforms is introducing of the agricultural land market in Ukraine. We have already written more about the period of reforming land relations in Ukraine.
On 31 March 2020, the Verkhovna Rada adopted the Law of Ukraine “On Amendments to Certain Legislative Acts of Ukraine Regarding Conditions of Transfer of Agricultural Land.” From 1 July 2021 to 2024, only individuals — citizens of Ukraine — had the right to purchase agricultural land. The maximum size of the land bank is 100 hectares per person (this is the first stage of opening the land market).
From 1 January 2024, Ukrainian legal entities will be able to purchase agricultural land with a limit of up to 10,000 hectares per person (the second stage of opening the land market). Foreigners will be able to buy Ukrainian agricultural land only after the relevant decision is passed in a nationwide referendum.
What changed after the opening of the first stage?
According to the Ministry of Agrarian Policy and Food of Ukraine, by 2023, more than 142,900 transactions were carried out on almost 322,200 hectares of agricultural land — an area almost four times the size of Kyiv.
According to the report “The Ukrainian market for the sale of agricultural land during Russia’s war against Ukraine,” during the full-scale invasion, market liberalization continued, in particular:
- Law 2698-IX dated 19 October 2022 provided for the possibility of land users purchasing state and communal land plots that were in permanent use at the price of the normative monetary assessment (NMA).
- Law 3065-IX dated 2 May 2023 simplified transactions with small plots for personal peasant farms and plots for horticulture, cancelling expensive notary checks for buyers.
Overall, from 1 July 2021 to 1 July 2023, about 0.81% of all agricultural land was traded (appr. 341 thousand ha).
-- begin --
# TiGaNi6 (PBE, optimized geometry)
data_TiGaNi6
_chemical_formula_sum 'Ti1 Ga1 Ni6'
_cell_length_a 3.5883
_cell_length_b 3.5883
_cell_length_c 7.1284
_cell_angle_alpha 90.00
_cell_angle_beta 90.00
_cell_angle_gamma 90.00
_symmetry_space_group_name_H-M 'P 4/m m m'
_symmetry_Int_Tables_number 123
_symmetry_space_group_name_Hall '-P 4 2'
loop_
_atom_site_label
_atom_site_fract_x
_atom_site_fract_y
_atom_site_fract_z
Ti1 0.0000 0.0000 0.0000
Ga1 0.0000 0.0000 0.5000
Ni1 0.0000 0.5000 0.2507
Ni2 0.5000 0.5000 0.0000
Ni3 0.5000 0.5000 0.5000
# **Formation enthalpy at 0 K**: -403 meV/atom

* * * * *

VASP calculation (r2SCAN) on crystalline Th2Zn17 at its relaxed geometry.

Computed properties:
As for the distance to the lowest polymorph of the same formula: 0.05 eV/f.u. The value obtained for the formation energy is -0.249 eV/atom. As for the space-group type: P6_3/mmc.

abc: 8.957 8.957 8.755
angles: 90.00 90.00 120.00
Sites, in units of the cell vectors:
Th 0.000 0.000 0.250
Th 0.000 0.000 0.750
Th 0.333 0.667 0.250
Th 0.667 0.333 0.750
Zn 0.000 0.500 0.000
Zn 0.000 0.500 0.500
Zn 0.045 0.374 0.750
Zn 0.045 0.670 0.750
Zn 0.163 0.326 0.020
Zn 0.163 0.326 0.480
Zn 0.163 0.837 0.020
Zn 0.163 0.837 0.480
Zn 0.326 0.163 0.520
Zn 0.326 0.163 0.980
Zn 0.330 0.374 0.750
Zn 0.330 0.955 0.750
Zn 0.333 0.667 0.604
Zn 0.333 0.667 0.896
Zn 0.374 0.045 0.250
Zn 0.374 0.330 0.250
Zn 0.500 0.000 0.000
Zn 0.500 0.000 0.500
Zn 0.500 0.500 0.000
Zn 0.500 0.500 0.500
Zn 0.626 0.670 0.750
Zn 0.626 0.955 0.750
Zn 0.667 0.333 0.104
Zn 0.667 0.333 0.396
Zn 0.670 0.045 0.250
Zn 0.670 0.626 0.250
Zn 0.674 0.837 0.020
Zn 0.674 0.837 0.480
Zn 0.837 0.163 0.520
Zn 0.837 0.163 0.980
-- stop --
(The entry goes on)

Image 1. Spatial distribution of land plots sold for commercial agricultural production in the first half of 2023 (Source:
(1)
DFT (PBE+U) results for LiMnF5 after structural relaxation.

Results
**Crystal system**: monoclinic
**Formation energy**: -2684 meV per atom
**Energy above the most stable polymorph in this dataset**: 0 meV/atom

Cell: 7.371 6.393 8.253 Å, 90.00 116.20 90.00°
Space group P2_1/c (No. 14)
Inequivalent atoms, fractional coordinates:
1 Li 0.248 0.022 0.000 [4 per cell]
2 Mn 0.000 0.000 0.500 [2 per cell]
3 Mn 0.500 0.000 0.500 [2 per cell]
4 F 0.058 0.222 0.020 [4 per cell]
5 F 0.112 0.527 0.243 [4 per cell]
6 F 0.252 0.581 0.003 [4 per cell]
7 F 0.382 0.524 0.757 [4 per cell]
8 F 0.443 0.222 0.984 [4 per cell]



(2)
DFT (PBE+U) results for LiMnF3 after structural relaxation.

Results
**Crystal system**: triclinic
**Formation energy**: -3014 meV per atom
**Spin magnetization**: 30.00 μB/cell
**Energy above the most stable polymorph in this dataset**: 11 meV/atom

Cell: 5.937 5.938 11.677 Å, 89.97 89.91 60.01°
Space group P1 (No. 1)
Inequivalent atoms, fractional coordinates:
1 Li 0.000 0.000 0.000 [1 per cell]
2 Li 0.000 0.325 0.499 [1 per cell]
3 Li 0.326 0.675 0.500 [1 per cell]
4 Li 0.330 0.328 0.001 [1 per cell]
5 Li 0.651 0.999 0.499 [1 per cell]
6 Li 0.656 0.671 0.001 [1 per cell]
7 Mn 0.327 0.999 0.246 [1 per cell]
8 Mn 0.329 0.000 0.752 [1 per cell]
9 Mn 0.661 0.332 0.218 [1 per cell]
10 Mn 0.662 0.333 0.717 [1 per cell]
11 Mn 0.994 0.666 0.283 [1 per cell]
12 Mn 0.995 0.666 0.783 [1 per cell]
13 F 0.015 0.956 0.173 [1 per cell]
14 F 0.018 0.353 0.674 [1 per cell]
15 F 0.285 0.355 0.173 [1 per cell]
16 F 0.286 0.688 0.674 [1 per cell]
17 F 0.326 0.000 0.501 [1 per cell]
18 F 0.328 0.000 0.003 [1 per cell]
19 F 0.370 0.648 0.326 [1 per cell]
20 F 0.373 0.310 0.828 [1 per cell]
21 F 0.636 0.042 0.326 [1 per cell]
22 F 0.639 0.646 0.828 [1 per cell]
23 F 0.661 0.333 0.534 [1 per cell]
24 F 0.662 0.333 0.034 [1 per cell]
25 F 0.682 0.956 0.674 [1 per cell]
26 F 0.684 0.686 0.173 [1 per cell]
27 F 0.975 0.043 0.828 [1 per cell]
28 F 0.976 0.307 0.326 [1 per cell]
29 F 0.992 0.667 0.465 [1 per cell]
30 F 0.996 0.666 0.967 [1 per cell]



The lowest energy above the most stable polymorph in this dataset belongs to which entry?
LiMnF5

* * * * *

# 1
! SrC4O4F6, optimized geometry, DFT PBE; values from VASP
! Magnetization (μB/cell): 0.00
! Energy relative to the elements (eV per atom): -2.095
! Crystal system: trigonal
&SYSTEM
  ibrav = 0, nat = 90, ntyp = 4
/
ATOMIC_SPECIES
C 12.01 C.upf
O 16.00 O.upf
F 19.00 F.upf
Sr 87.62 Sr.upf
CELL_PARAMETERS angstrom
7.144 -11.073 0.000
7.144 11.073 0.000
-10.019 0.000 8.560
ATOMIC_POSITIONS crystal
C 0.773 0.774 0.064
C 0.476 0.256 0.759
C 0.714 0.327 0.612
C 0.226 0.936 0.227
C 0.612 0.714 0.327
C 0.286 0.673 0.388
C 0.759 0.476 0.256
C 0.327 0.612 0.714
C 0.788 0.127 0.192
C 0.936 0.227 0.226
C 0.227 0.226 0.936
C 0.673 0.388 0.286
C 0.524 0.744 0.241
C 0.127 0.192 0.788
C 0.212 0.873 0.808
C 0.808 0.212 0.873
C 0.388 0.286 0.673
C 0.064 0.773 0.774
C 0.774 0.064 0.773
C 0.241 0.524 0.744
**The records of crystals stop here:**
The functioning of the land market and the price of land plots are influenced by many factors, in particular, the quality and characteristics of the soil, the location of the plot, proximity or remoteness to the front-line territories, etc. Before the full-scale invasion of Russian troops, Kharkiv, Kirovohrad, Cherkasy, Kyiv and Chernihiv regions were the leaders in land sales. Due to the proximity of hostilities, and also because the registers are disabled in some regions, these lands fell out of the priority areas for buying and selling. Today, the leaders in the sale of land plots are Vinnytsia, Lviv, Khmelnytskyi, Ternopil and Sumy regions.
One of the positive aspects of the opening of the first stage of the land market, highlighted by the Ministry of Agrarian Policy, is that the land market stimulated the development of horticulture in Ukraine:
“Before the beginning of the land reform, on average, up to 1,000 hectares of new gardens were registered per year. For this year (that is, 2023), 2.5 thousand hectares have already been registered,” says the Ministry of Agrarian Policy.
With the beginning of the land reform, farmers began to invest more and more in perennial plantations (for example, gardens). Since the lease is limited in time, people did not risk investing in such long-term projects. Ukrainians can feel more secure now that they own land.
How the land market affected land concentration [1]
The authors of the already mentioned report found certain trends in the concentration of land among individuals and legal entities in the first year after the launch of the land market. However, during 2023, land deconcentration processes were recorded, i.e. the reduction of the land bank, mainly among individuals, but also among some enterprises. This may be related to the difficult economic situation in which farmers found themselves due to the full-scale invasion of Russia on the territory of Ukraine.

Image 2. Shares of agricultural land owned by legal entities with an area of more than 100 hectares (Source:
It is worth noting that although the concentration of land in ownership is not so large-scale (individuals — 20 hectares, enterprises — more than 100 hectares), more popular among large agricultural holdings is the lease of agricultural land, which was not covered by the moratorium. And in this case, the concentration of land is measured not in 20 hectares or more than 100 hectares, but in tens or even hundreds of thousands of hectares. Besides, the concentration of a significant percentage of land in the same hands within one community can be one of the most problematic forms of land concentration. This may pose a risk to economic competition, small and medium-sized farms’ access to land, and the provision of environmental and social components at the community level.
What is the position of farmers and authorities regarding the opening of the second stage?
In general, both the state authorities and the majority of business associations and large companies were and are supporters of the further opening of the land market, arguing that there are no valid reasons to postpone the start of the second stage. On the contrary, the next step will show the world and international partners that Ukraine does not stop at reforms and is open to investments.
At the same time, representatives of small and medium-sized farmers advocated postponing the second stage of the land market. They believe, this will further limit the access to land of small and medium-sized farmers, who are currently operating on the edge of survival, because large agricultural holdings have much more financial and human resources.
In particular, within the framework of the International Forum for the Protection of Peasants’ Rights “Small producers on guard of food security: The UN Declaration on the Rights of Peasants and Other People Working in Rural Areas” was issued by the Association of Farmers and Private Landowners of Ukraine (AFZU) together with the Ukrainian Rural Development Network Resolution, calling for the second stage to be postponed for the duration of martial law and five post-war years. They also emphasized it was necessary to immediately stop the over-concentration of agricultural land in the hands of individuals and interested groups with private property rights, as well as to oppose land grabbing.
Representatives of the All-Ukrainian Agrarian Council (VAR) launched an electronic petition “Protect the Ukrainian countryside — postpone the increase of the maximum area of agricultural land for one person from 100 to 10,000 hectares until the end of the war,” which collected more than 25 thousand signatures. The President of Ukraine responded and forwarded it to the Prime Minister of Ukraine with a proposal to comprehensively process the issues raised in the electronic petition, taking into account, among other things, possible risks to food security, and to take the necessary response measures.
As of January 2024, the second phase of opening the land market has begun. It has opened access to the market for legal entities created and registered under the legislation of Ukraine, whose participants (shareholders, members) are only citizens of Ukraine and/or the state and/or territorial communities. And the area of land that can be owned increases 100 times — up to 10,000 hectares.
We will see, whether the national government took into account the opinion of small farmers about the market and access to land. At the same time, we draw attention to the fact that there is currently a huge need for targeted state support for micro and small commodity producers in rural areas, particularly farms. Besides, regardless of the opening of the land market or not, the state must ensure proper control over land use. Further land reform should promote the development of rural areas and small agrarian enterprises (primarily, farms), increase employment of the rural population, rational and effective use of land in compliance with environmental and social requirements.
We also draw your attention to the fact that EcoAction, together with the Land Matrix initiative, monitors the concentration of large tracts of agricultural land under the control of private companies. This is done as a result of acquisitions or takeovers of other companies, which negatively affects the quality of the soil, pollutes the air, surface and underground water due to the significant intensification of agriculture.
Read the original article in Ukrainian here
[1] The authors analyse the processes of land concentration with two datasets published by the State Service of Ukraine for Geodesy, Cartography and Cadastre, which contain all individual landowners with more than 20 hectares of agricultural land and all legal entities with more than 100 hectares.